# Input
=====
## a
Na3VPCO7: optimized geometry, PBE with a Hubbard U.

Unit cell a=8.990 b=5.270 c=6.825 alpha=90.00 beta=90.00 gamma=88.29
Each line ends with the local moment (μB).
Atoms (fractional coordinates):
Na (0.917, 0.228, 0.750)  0.00
Na (0.084, 0.772, 0.250)  0.00
O (0.559, 0.579, 0.750)  0.00
C (0.942, 0.286, 0.250)  0.01
O (0.916, 0.687, 0.750)  0.00
O (0.084, 0.313, 0.250)  0.00
O (0.565, 0.846, 0.250)  0.00
O (0.683, 0.208, 0.932)  0.00
Na (0.727, 0.744, 0.991)  0.00
O (0.435, 0.154, 0.750)  0.00
O (0.317, 0.792, 0.432)  0.00
C (0.058, 0.714, 0.750)  0.01
Na (0.273, 0.256, 0.490)  0.00
V (0.345, 0.779, 0.750)  2.73
Na (0.727, 0.744, 0.510)  0.00
O (0.317, 0.792, 0.068)  0.00
P (0.413, 0.715, 0.250)  0.01
O (0.441, 0.421, 0.250)  0.00
O (0.150, 0.516, 0.750)  -0.01
P (0.587, 0.285, 0.750)  0.01
O (0.850, 0.484, 0.250)  -0.01
O (0.884, 0.062, 0.250)  -0.01
V (0.655, 0.221, 0.250)  2.73
Na (0.273, 0.256, 0.009)  0.00
O (0.683, 0.208, 0.568)  0.00
O (0.116, 0.938, 0.750)  -0.01

=====

## b
Na3VPCO7: optimized geometry, PBE with a Hubbard U.

Unit cell a=5.384 b=6.771 c=8.918 alpha=90.00 beta=91.64 gamma=90.00
Each line ends with the local moment (μB).
Atoms (fractional coordinates):
O (0.818, 0.263, 0.929)  -0.01
V (0.552, 0.263, 0.720)  2.73
O (0.800, 0.263, 0.358)  0.00
O (0.232, 0.264, 0.887)  -0.01
O (0.390, 0.263, 0.498)  0.00
O (0.610, 0.763, 0.502)  0.00
P (0.486, 0.763, 0.657)  0.01
Na (0.056, 0.264, 0.162)  0.00
O (0.419, 0.446, 0.250)  0.00
Na (0.999, 0.514, 0.500)  0.00
V (0.448, 0.763, 0.280)  2.73
O (0.200, 0.763, 0.642)  0.00
O (0.182, 0.763, 0.071)  -0.01
O (0.049, 0.763, 0.306)  -0.01
Na (0.500, 0.014, 0.000)  0.00
O (0.768, 0.764, 0.113)  -0.01
O (0.418, 0.080, 0.250)  0.00
Na (0.001, 0.014, 0.500)  0.00
Na (0.944, 0.764, 0.838)  0.00
Na (0.500, 0.514, 0.000)  0.00
O (0.582, 0.580, 0.750)  0.00
C (0.003, 0.263, 0.836)  0.01
C (0.997, 0.763, 0.164)  0.01
P (0.514, 0.263, 0.343)  0.01
O (0.581, 0.946, 0.750)  0.00
O (0.951, 0.263, 0.694)  -0.01

=====

Stability summary: most stable a, least stable b.
=====
# Job
The reader should write out only the lines further above with the word "least" in them.
# Outcome
Stability summary: most stable a, least stable b.